Friday, August 30, 2013

**Here the text breaks off for records of molecules:**
____________
Formula: C11H17N2
Source: OMol25
Level of theory: the ωB97M-V functional and the def2-TZVPD basis

The total charge is +1. The highest occupied orbital energy comes out at -0.4842 Eh. As for the SMILES: CCCc1ccc2c(c1)[N@@+]2(C)NC. Its energy is -538.3704 Eh. The energy above the lowest of the compared OMol25 structures with the same formula, charge and spin is 709.62 kJ/mol.

Structure (XYZ):
```
30
Properties=species:S:1:pos:R:3:nbo_charge:R:1
N -2.61869 -0.20783 -0.38549 -0.049
N -3.52805 -0.96812 0.28993 -0.371
C -3.09281 0.11078 -1.69326 -0.427
C 0.94656 0.60055 -0.00927 0.027
C 4.53165 -0.88460 -0.30593 -0.617
C -1.19643 -0.22827 -0.18424 0.091
C -1.60464 1.02114 0.30709 0.133
C 2.45416 0.54225 -0.47680 -0.415
C -3.12864 -1.26860 1.63260 -0.434
C 0.47379 1.84780 0.36413 -0.173
C -0.88383 2.07211 0.80088 -0.203
C 0.11819 -0.53880 -0.25840 -0.209
C 3.48104 -0.10246 0.50632 -0.411
H 4.04261 -1.88812 -0.65358 0.205
H -2.73261 -2.23199 1.55161 0.224
H 2.33031 -0.03784 -1.41668 0.217
H -3.88023 0.90360 -1.60951 0.240
H -2.19355 0.26466 -2.29626 0.248
H -2.39754 -0.54707 1.87807 0.205
H -4.37292 -0.50299 0.22301 0.372
H 4.90156 -0.37562 -1.21999 0.215
H -4.07876 -1.23272 2.26535 0.240
H 0.61102 -1.47897 -0.59655 0.254
H 1.29588 2.53427 0.30630 0.248
H 2.86049 1.59572 -0.70280 0.231
H -3.62384 -0.75070 -2.11598 0.249
H -1.37777 2.89822 1.23375 0.257
H 3.07879 -0.76140 1.18146 0.205
H 3.99150 0.71809 1.14239 0.213
H 5.59277 -1.10307 0.24185 0.233
```

Formula: C3H9N2
Source: OMol25
Level of theory: the ωB97M-V functional and the def2-TZVPD basis

The total charge is +1. The highest occupied orbital energy comes out at -0.4742 Eh. As for the SMILES: C/C([NH3+])=C\N. Its energy is -228.9439 Eh. The energy above the lowest of the compared OMol25 structures with the same formula, charge and spin is 112.53 kJ/mol.

Structure (XYZ):
```
14
Properties=species:S:1:pos:R:3:nbo_charge:R:1
N -1.08926 -1.82445 -0.44325 -0.811
N 1.55559 0.63074 0.34093 -0.674
C 0.13435 0.18543 0.16116 0.017
C -0.86463 1.26966 -0.03552 -0.660
C 0.00208 -1.13247 0.00455 0.043
H 0.84264 -1.79710 0.20863 0.202
H 1.76203 1.56306 -0.01719 0.446
H -0.93633 -2.61314 -1.04467 0.413
H -0.56335 2.02268 -0.77355 0.233
H -1.83871 0.84269 -0.24358 0.256
H 2.21210 -0.00307 -0.12857 0.445
H -0.96051 1.82721 0.90520 0.236
H -2.05120 -1.59817 -0.26918 0.412
H 1.79521 0.62694 1.33504 0.441
```

Formula: C7H14N
Source: OMol25
Level of theory: the ωB97M-V functional and the def2-TZVPD basis

The total charge is +1. The highest occupied orbital energy comes out at -0.4874 Eh. Its energy is -329.4556 Eh. The energy above the lowest of the compared OMol25 structures with the same formula, charge and spin is 398.93 kJ/mol.

Structure (XYZ):
```
22
Properties=species:S:1:pos:R:3:nbo_charge:R:1
N -1.98253 0.24428 -0.13393 -0.305
C -0.69830 0.44487 -0.21136 0.064
C -2.66041 0.69142 1.06183 -0.427
C 0.75592 -1.09711 0.50955 -0.602
C 2.07535 -0.71135 0.42296 0.204
C 3.28897 -0.25179 0.29576 -0.232
____________

International Edition - Australia Trip (Episode 2)

Date Happened :  From 8 August  - 20 August 2013

Episode 2:

Okay , herewith the link for episode 1 if you missed it :

Lets continue the story ya.... after touched down Melbourne... everything is great ... weather, place people..... BUT ... gender mixed up cases still happened .... okay .. this time... abit jialat la (For international readers : Jialat = means terror... or more serious ... this word usually only Malaysian or Singaporean will use it )  ... because this case actually happened in Public which is in a shopping mall....

This case is like that one .... my eyes were very dry  when i was in Melbourne, so i have to use an Optrex to moisture my eyes....  
For readers who don't know what is an Optrex 
So i was in Melbourne Central ( a shopping mall) and I my gf went to toilet and  i just waited her outside the toilet ... and due to my dried eyes.. i have to use this Optrex... and maybe ... maybe harr... i over applied , and there were some optex overflew out from my eyes ... and that time i also having a flu.... so basically i looked like a GIRL GUY crying and sneezing in the public ....

And maybe that time alot people looked at me .. and wonder what happened to me.... and here is the climax ..

A lady came to me and asked me :

Lady : Hi Madam.... are you allright??

Me : yaya im okay .. no worries ( im actually wiping the overflew tears- actually is overflew eye drops from Optrex) and also sneezing at the same time...

Lady : you dont look allright ... is there anything i can help?

Me : nonono... its okay ... im not crying .. it just the eye drops....

Lady : serious? sure?? 

Me : yaya ... im okay ... by the way im a GUY not a GIRL ..

┌──
Computed, not measured: the molecule C2H6S, with ωB97M-V with the def2-TZVPD basis set.

The geometry in XYZ format:
```
9
C2H6S, DFT ωB97M-V with the def2-TZVPD basis set
C -0.823 0.472 -1.245
S -0.650 0.470 0.652
C 0.698 -0.372 1.297
H 0.156 0.769 -1.481
H -1.745 0.939 -1.629
H -0.934 -0.519 -1.758
H 0.570 -1.445 1.533
H 1.574 -0.381 0.484
H 1.155 0.067 2.147
```
└──

Lady : oppss.. hahahahaha

Me : thanks anyway  :) ( still wiping my eyes )

But the champion thing is .. i was standing next to escalator.. and actually alot peoples looked at me ... damn paiseh wei .... ( paiseh  = embarrass) the situation actually look like this ( please see picture below) 
Now you can see how paiseh was the situation ....Please stay tune for Episode 3

Tuesday, August 27, 2013

International Edition - Australia Trip (Episode1)

Date Happened :  From 8 August  - 20 August 2013

Episode 1 :

Okay guys IM BACK!!!! First of all , im very very very sorry that i have not been updated  any thing on my blog for the past 3 weeks, as i was in Melbourne Australia for a vacation ..... sorry  laaa. i purposely don't want to bring any laptop to the trip.. ans i wanted to fully enjoy my holiday :) .. okok ... stop crapping  ... and some of you guys did wished me " enjoy your holiday and hope to hear some gender mixed up cases in Aussie ya!" ... now you all happy lor!! really happened already lor! There will be around 5-6 episodes  in total for this Aussie trip... okay lets dont waste time....

So this trip is abit special , as  my GF was with me through out trip... so she did experienced some of the cases here :) 

I was lucky , because the 1st case will happend in the airport.... but this time it was safe... the 1st case happened only on my way to the aircraft ...The 1st case actually like that . when its time for boarding .... we all lined up to enter the plan right? when when was my turn .. 

Stewardess : Good  Morning MISS , nice to see you , may i know your seat nunmber?

Me : Good morning ( in a macho voice ) , herewith my seat number ( showed her my air tix)

Stewardess : ohh no .... im sorry ...

Me : its okay ( in a macho voice)..

so when its time to serve our food... the other stewardess came to us and asked :

Stewardess B : Hi LADIES!! would you like to have Chicken Roll or Mushroom Roll?  

Me : 2 Chicken rolls please ( in a macho manly deep tone voice )

Stewardess B : ohh okay , and what drink would you two like to have?  ( Basket ... she still didn't realized im a GUY)

Me : Orange juice for me and a glass of plain water for her ( my gf)  ( Maximum deep tone voice ... as macho as i can ) 

'''
DFT (ωB97M-V/def2-TZVPD) results for a structure of composition C4H4AgO at a distorted geometry.

Structure (XYZ):
```
10
C4H4AgO, DFT ωB97M-V/def2-TZVPD
C 1.01557 -0.57357 0.14906
C 2.06436 0.22747 -0.18992
O 1.98781 1.56242 -0.04768
Ag 0.28264 1.38023 0.95427
H 1.11771 -1.64015 -0.08256
H 3.05285 -0.14872 -0.51417
C -2.53786 -0.12050 -0.32926
C -1.40026 0.31552 0.02000
H -3.13099 -0.87431 -0.84282
H -2.45182 -0.12839 0.88308
```

Lowest unoccupied orbital energy (alpha / beta): -0.27 / -0.66 eV
Spin multiplicity: 2
Energy above the lowest of the compared OMol25 structures with the same formula, charge and spin: 67.3 kcal per mole
Maximum force: 3.2 eV/Å
Highest occupied orbital energy (alpha / beta): -7.685 / -7.297 eV
Orbital gap (alpha / beta): 0.273 / 0.244 Eh



DFT (ωB97M-V/def2-TZVPD) results for a structure of composition C4H7FIP at a distorted geometry.

Structure (XYZ):
```
14
C4H7FIP, DFT ωB97M-V/def2-TZVPD
C -0.53890 -0.29058 0.51103
C 0.37541 0.79354 0.26087
C 0.00383 -1.53071 1.14537
C -0.15011 1.93851 -0.50261
F 2.21606 2.49239 0.68722
P 1.97130 0.89152 1.02253
I -2.02344 -1.18958 -1.66933
H -1.57952 0.07868 0.80581
H -0.61423 -2.33715 1.46786
H 0.54329 -1.25984 2.01132
H 0.71391 -2.07479 0.51472
H -0.46487 2.48452 0.32970
H 0.74738 2.33510 -1.02563
H -0.98980 1.86522 -1.08329
```

Lowest unoccupied orbital energy (alpha / beta): -2.11 / -1.93 eV
Energy above the lowest of the compared OMol25 structures with the same formula, charge and spin: 42.9 kcal per mole
Maximum force: 3.4 eV/Å
Highest occupied orbital energy (alpha / beta): -8.675 / -8.837 eV
Orbital gap (alpha / beta): 0.241 / 0.254 Eh



DFT (ωB97M-V/def2-TZVPD) results for a cluster of 5 separate species, C30H69BN5 in total at a distorted geometry.

Structure (XYZ):
```
105
C30H69BN5, DFT ωB97M-V/def2-TZVPD
B 0.57813 0.54910 0.04678
H -0.60497 0.65972 0.28014
H 0.80709 -0.65453 0.05357
H 0.84813 1.01668 -1.03881
H 1.26706 1.04193 0.91596
C -5.78293 -1.56412 -2.49120
C -4.72738 -1.92897 -3.51449
N -3.35989 -1.57620 -3.11023
C -2.96288 -0.41850 -2.46827
C -1.62505 -0.50929 -2.29440
N -1.23478 -1.72383 -2.78842
C -2.30814 -2.34292 -3.28515
C 0.13709 -2.22020 -2.82227
H -6.76760 -1.87879 -2.81506
H -5.76905 -0.47741 -2.36802
H -5.53772 -1.96229 -1.50757
H -4.92393 -1.40903 -4.45361
H -4.76149 -2.99471 -3.73719
H -3.67806 0.35034 -2.24419
H -0.93243 0.22592 -1.90623
H -2.37188 -3.33166 -3.70882
H 0.24925 -2.88301 -3.68232
H 0.36315 -2.76147 -1.90950
H 0.81602 -1.39916 -3.03383
C 3.13339 -3.95264 -1.84714
C 4.15822 -3.02208 -1.22472
C 3.67173 -1.57469 -1.30286
N 4.44409 -0.59268 -0.45900
C 4.05674 -0.75315 0.97096
C 5.94514 -0.72040 -0.69679
C 6.55112 0.68615 -0.59613
C 5.35101 1.61416 -0.34901
C 4.13992 0.85182 -0.88012
H 2.25500 -4.05853 -1.20444
H 3.53780 -4.95741 -1.96240
H 2.79781 -3.61806 -2.83118
H 5.14198 -3.07893 -1.68361
H 4.26591 -3.30165 -0.17426
H 2.64154 -1.54107 -0.93810
H 3.67581 -1.17503 -2.31711
H 4.49075 -1.68711 1.32667
H 2.97467 -0.73545 1.05177
'''
Back to the article:

Stewardess B : opps im sorry  .. ( now only realized ...   i nearly lost my voice to make all those macho deep tone  voice laaa!)

So it was all fine and the last case was we landed Melbourne International Airport , another Stewardess actually greeted us when we step out the plane...

Stewardess C : Thank you MISS Good bye MISS , enjoy your holiday MISS!

Me : Harro! .... im a guys laaaaa ( just told her straightly and too lazy to make any macho voice )

Stewardess C : my god .. im sorry .....

Y you all wanna treat me like this?? I just started my holiday wey ... :(

Tuesday, August 6, 2013

Toilet Edition - 18 SX (not suitable for children)

Date Happened : 23 July 2013

Toilet Edition - 18SX

Explicit edition is back!!! already said its explicit lor.... so have to follow the international rules lor....

 "You must be at least 18 years of age to enter this page (21 years of age in the USA)"
